Festive: The New/Old Role of the Film Critic

For years now, the role of the film critic has been a hotly debated topic. While some in the professional community (Roger Ebert, Peter Travers) can argue cultural relevance — meaning their reviews are actually counted on by audiences as guideposts to what’s good and bad – others (including yours truly) are seen as drags on the aesthetic dialogue…especially if you ply your trade on that most misunderstood of ‘mediums,’ the Internet. Web publications are often seen as the first and last bastion of failed fanboys, a blog/vlog outlet for the wannabe filmmaker and the basement dwelling dweeb. Arguably, this is a horribly gross overgeneralization, but the truth remains that criticism is seen as going the way of the dinosaur and the journalist — meaning it was destroyed by a massive meteor striking the once fertile marketplace plain of ideas- – and should be left for extinction.

Calculated crystals, kept here for reference >
-- begin --
# RbSr2Tl (GGA-PBE, relaxed)
data_RbSr2Tl
_chemical_formula_sum 'Rb1 Sr2 Tl1'
_cell_length_a 6.176
_cell_length_b 6.176
_cell_length_c 6.176
_cell_angle_alpha 60.00
_cell_angle_beta 60.00
_cell_angle_gamma 60.00
_symmetry_space_group_name_H-M 'P 1'
_symmetry_Int_Tables_number 1
_symmetry_space_group_name_Hall 'P 1'
loop_
_atom_site_label
_atom_site_fract_x
_atom_site_fract_y
_atom_site_fract_z
_atom_site_occupancy
Rb1 0.000 0.000 0.000 1
Sr1 0.750 0.750 0.750 1
Sr2 0.250 0.250 0.250 1
Tl1 0.500 0.500 0.500 1
# Energy above the lowest structure with this stoichiometry (eV per formula unit): 0.47
# Magnetic moment (μB/f.u.): 0.00
# Energy of formation from the pure elements (eV/atom): -0.0435

~~~~~

Entry from Alexandria via LeMat-Bulk: crystalline PrHoZr at its relaxed geometry (PBE).

a b c (Å): 7.965 7.965 7.965
angles (deg): 155.26 155.26 35.27
Positions (direct):
Pr: 0.000 0.000 0.000
Ho: 0.689 0.689 0.000
Zr: 0.337 0.337 0.000

Output
Formation enthalpy at 0 K ... 0.108 eV per atom
DOS at the Fermi energy ... 4.43 states/eV/cell
Distance to the lowest polymorph of the same formula ... 0.000 eV per atom
Mass density ... 7.5 g cm⁻³
-- stop --

Yet with the crop of film festivals — Telluride, Toronto, Venice — currently going on around the world, and the equally important ones already past (Cannes) and yet to be (New York), it is clear that there is still a role to be played by the critic. Call it the bellwether to the Best, or the initial groundswell that leads to the year-end wave of awards, but without the tireless efforts of these globetrotting individuals, we would be somewhat lost as to where the cinematic trends are taking us. Argue all you want to about their final choices (look down the list of Oscar winners the last few years and see if you agree unequivocally with all selections) and condemn them for jumping on bandwagons that should have otherwise been left abandoned and unused, but critics are the first to set the benchmark, and the last to legitimize the conclusions.

It all starts with Sundance, where the early buzz builds. Cannes adds in more of the international film establishment while clouding/clarifying the issue. The Summer season is a wash, the studios and suits desperate to make the definitive dime with which they can sponsor “superior” fare, while the Fall finishes things off in a whirlwind of conflicting critical call outs. If you believe the current hype, Paul Thomas Anderson’s The Master has an early telltale track. It’s the film everyone wants to see. It’s already garnered several major awards (Venice just gave it director and actor, and would have given it picture too if not for some arcane rules) and it’s got that immediately merited “it” factor, including links to the controversial religion Scientology and the pedigree of the auteur behind the lens.

But this doesn’t mean that The Master‘s cast and crew should be making their Academy Awards reservations quite yet. Indeed, for many, Jeff Bridges nomination (and win) for Crazy Heart came completely out of left field. In fact, few outside the festival circuit had even heard of the film (the seasoned star is said to have benefited from a hefty pre-nomination screener campaign). Similarly, something like David O. Russell’s The Silver Linings Playbook may be non-existent on the average critic’s aesthetic radar, but the raves coming out of Toronto tell of a future filled with a significantly higher profile. It’s the same for something more provocative and compelling as the Wachowskis/Tykwer collaboration, Cloud Atlas.

That’s because film journalists do have a part to play in our larger artistic picture. They are the outside insiders, the faux-cus group who has a huge impact on where certain titles end up come year end tallies. Certainly, there are some whose significance pales in comparison, but for the most part, those testing the time differences in Italy or Canada are coming together to take stock and deliver decisions…and then bring those back to the numerous groups and organizations they belong to. As a result, their influence in said organizations is crucial. They map out the remaining months, taut entries that may not have ever gotten a fair shake, and eventually, sway voting towards ‘givens’ not necessarily part of everyone’s personal purview.

This is not a bad thing. Imagine a world where the only films a critic sees are the one’s Hollywood spins out on a regular basis. A place where Oscar screeners go to the voting membership of the Academy only, and not to the SEFCA, or OFCS, or CFCS. Imagine festivals attended by filmmakers and their fans exclusively, where the critic is forbidden from finding a friendly seat. Add all this together and you get a situation in which films like The Hurt Locker or The Artist may not find a supportive status. Even worse, entries like The Dark Knight Rises and The Avengers, worthy popcorn fare, would end up dominating such a diminished roster.

The reality is that critics continue to matter when it comes to that most meaningful of motion picture problems — rising above the mainstream din. They champion outsiders, bring important issue-oriented documentaries and dramas to their often ill-informed or out of touch readership. They provide a safety net (and a guaranteed gamble) to the untried and the unaffiliated. Sure, they can also fall in love with something that, years later, suffers by comparison and there’s rarely an instance of a total left field find running ramshackle over the more deserving. Still, critics find consensus, rightly or wrongly, guided the conversation until the calendar indicates another 12 months have gone by.

So forget the fact that they rarely agree with you on the value of the latest Adam Sandler/Tyler Perry/Sylvester Stallone film. Ignore the often holy than thou, down the nose approach to their ‘passion.’ Remember that everyone is entitled to their opinion (though as ‘Uncle’ Harlan Ellison argues, only their “learned” one) and that no one is ever 100% right on 100% of the things they see. Then recognize the important role they play in preserving the best (or at least, what’s considered same…at the time) for later consideration, and then call them unnecessary. Sure, they may not have given your own personal favorite the virtual ‘thumbs up,’ but they are privy to the ones that will end up meaning the most to the artform. It’s perhaps their last legitimate role to play.